**File**
1.
This record from Alexandria via LeMat-Bulk describes a relaxed structure of CrRu2W. The functional is PBE.

Unit cell a=3.072 b=3.072 c=6.062 alpha=90.00 beta=90.00 gamma=90.00
Positions (direct):
Cr: 0.000 0.000 0.000
Ru: 0.000 0.000 0.493
Ru: 0.500 0.500 0.182
W: 0.500 0.500 0.734

Values from the calculation:
As for the density of states at the Fermi level: 1.12 states/eV/atom. Its symmetry is No. 99. For the offset from the most stable computed form, the calculation gives 103.7 meV per atom. The formation energy comes out at 0.184 eV per atom.


2.
This record from Alexandria via LeMat-Bulk describes a relaxed structure of LiGeO2. The functional is PBE.

Unit cell a=5.965 b=5.965 c=5.965 alpha=30.79 beta=30.79 gamma=30.79
Positions (direct):
Li: 0.000 0.000 0.000
Ge: 0.500 0.500 0.500
O: 0.105 0.105 0.105
O: 0.895 0.895 0.895

Values from the calculation:
As for the density of states at the Fermi level: 0.66 states/eV/atom. The value obtained for the uncorrected formation energy is -1.22 eV/atom. Its symmetry is No. 166.


3.
This record from Alexandria via LeMat-Bulk describes a relaxed structure of Ca2Zn5Ag2Pd. The functional is PBE.

Unit cell a=10.073 b=10.073 c=3.838 alpha=90.00 beta=90.00 gamma=90.00
Positions (direct):
Ca: 0.178 0.322 0.000
Ca: 0.322 0.822 0.000
Ca: 0.678 0.178 0.000
Ca: 0.822 0.678 0.000
Zn: 0.000 0.500 0.500
Zn: 0.049 0.814 0.500
Zn: 0.186 0.049 0.500
Zn: 0.314 0.549 0.500
Zn: 0.451 0.314 0.500
Zn: 0.500 0.000 0.500
Zn: 0.549 0.686 0.500
Zn: 0.686 0.451 0.500
Zn: 0.814 0.951 0.500
Zn: 0.951 0.186 0.500
Ag: 0.123 0.623 0.000
Ag: 0.377 0.123 0.000
Ag: 0.623 0.877 0.000
Ag: 0.877 0.377 0.000
Pd: 0.000 0.000 0.000
Pd: 0.500 0.500 0.000

Values from the calculation:
As for the density of states at the Fermi level: 0.54 states/eV/atom. Its symmetry is No. 127. The formation energy comes out at -0.206 eV per atom.


4.
This record from Alexandria via LeMat-Bulk describes a relaxed structure of Nd4Te3Ir. The functional is PBE.

Unit cell a=6.306 b=10.218 c=9.420 alpha=90.00 beta=90.00 gamma=90.00
Positions (direct):
Nd: 0.250 0.031 0.187
Nd: 0.250 0.250 0.632
Nd: 0.250 0.469 0.187
Nd: 0.250 0.750 0.657
Nd: 0.750 0.250 0.343
Nd: 0.750 0.531 0.813
Nd: 0.750 0.750 0.368
Nd: 0.750 0.969 0.813
Te: 0.250 0.007 0.847
Te: 0.250 0.493 0.847
Te: 0.250 0.750 0.324
Te: 0.750 0.250 0.676
Te: 0.750 0.507 0.153
Te: 0.750 0.993 0.153
Ir: 0.250 0.250 0.347
Ir: 0.750 0.750 0.653

Values from the calculation:
As for the density of states at the Fermi level: 1.26 states/eV/atom. The value obtained for the uncorrected formation energy is -0.98 eV/atom. Its symmetry is No. 59. For the offset from the most stable computed form, the calculation gives 247.7 meV per atom.


5.
This record from Alexandria via LeMat-Bulk describes a relaxed structure of Pm2PrTm9. The functional is PBE.

Unit cell a=5.797 b=5.797 c=11.231 alpha=90.00 beta=90.00 gamma=90.00
Positions (direct):
Pm: 0.000 0.000 0.165
Pm: 0.000 0.000 0.835
Pr: 0.000 0.000 0.500
Tm: 0.000 0.500 0.000
Tm: 0.000 0.500 0.332
Tm: 0.000 0.500 0.668
Tm: 0.500 0.000 0.000
Tm: 0.500 0.000 0.332
Tm: 0.500 0.000 0.668
Tm: 0.500 0.500 0.166
Tm: 0.500 0.500 0.500
Tm: 0.500 0.500 0.834

Values from the calculation:
As for the density of states at the Fermi level: 1.84 states/eV/atom. Its symmetry is No. 123. For the offset from the most stable computed form, the calculation gives 65.6 meV per atom. The formation energy comes out at 0.124 eV per atom.


6.
This record from Alexandria via LeMat-Bulk describes a relaxed structure of Ba2Ga3SnAu12. The functional is PBE.

Unit cell a=8.894 b=8.894 c=8.894 alpha=59.50 beta=59.50 gamma=59.50
Positions (direct):
Ba: 0.106 0.106 0.106
Ba: 0.894 0.894 0.894
Ga: 0.000 0.500 0.500
Ga: 0.500 0.000 0.500
Ga: 0.500 0.500 0.000
Sn: 0.500 0.500 0.500
Au: 0.132 0.624 0.624
Au: 0.159 0.159 0.515
Au: 0.159 0.515 0.159
Au: 0.376 0.376 0.868
Au: 0.376 0.868 0.376
Au: 0.485 0.841 0.841
Au: 0.515 0.159 0.159
Au: 0.624 0.132 0.624
Au: 0.624 0.624 0.132

**Assignment**
Return the whole of the block further above character by character.

**Reply**
1.
This record from Alexandria via LeMat-Bulk describes a relaxed structure of CrRu2W. The functional is PBE.

Unit cell a=3.072 b=3.072 c=6.062 alpha=90.00 beta=90.00 gamma=90.00
Positions (direct):
Cr: 0.000 0.000 0.000
Ru: 0.000 0.000 0.493
Ru: 0.500 0.500 0.182
W: 0.500 0.500 0.734

Values from the calculation:
As for the density of states at the Fermi level: 1.12 states/eV/atom. Its symmetry is No. 99. For the offset from the most stable computed form, the calculation gives 103.7 meV per atom. The formation energy comes out at 0.184 eV per atom.


2.
This record from Alexandria via LeMat-Bulk describes a relaxed structure of LiGeO2. The functional is PBE.

Unit cell a=5.965 b=5.965 c=5.965 alpha=30.79 beta=30.79 gamma=30.79
Positions (direct):
Li: 0.000 0.000 0.000
Ge: 0.500 0.500 0.500
O: 0.105 0.105 0.105
O: 0.895 0.895 0.895

Values from the calculation:
As for the density of states at the Fermi level: 0.66 states/eV/atom. The value obtained for the uncorrected formation energy is -1.22 eV/atom. Its symmetry is No. 166.


3.
This record from Alexandria via LeMat-Bulk describes a relaxed structure of Ca2Zn5Ag2Pd. The functional is PBE.

Unit cell a=10.073 b=10.073 c=3.838 alpha=90.00 beta=90.00 gamma=90.00
Positions (direct):
Ca: 0.178 0.322 0.000
Ca: 0.322 0.822 0.000
Ca: 0.678 0.178 0.000
Ca: 0.822 0.678 0.000
Zn: 0.000 0.500 0.500
Zn: 0.049 0.814 0.500
Zn: 0.186 0.049 0.500
Zn: 0.314 0.549 0.500
Zn: 0.451 0.314 0.500
Zn: 0.500 0.000 0.500
Zn: 0.549 0.686 0.500
Zn: 0.686 0.451 0.500
Zn: 0.814 0.951 0.500
Zn: 0.951 0.186 0.500
Ag: 0.123 0.623 0.000
Ag: 0.377 0.123 0.000
Ag: 0.623 0.877 0.000
Ag: 0.877 0.377 0.000
Pd: 0.000 0.000 0.000
Pd: 0.500 0.500 0.000

Values from the calculation:
As for the density of states at the Fermi level: 0.54 states/eV/atom. Its symmetry is No. 127. The formation energy comes out at -0.206 eV per atom.


4.
This record from Alexandria via LeMat-Bulk describes a relaxed structure of Nd4Te3Ir. The functional is PBE.

Unit cell a=6.306 b=10.218 c=9.420 alpha=90.00 beta=90.00 gamma=90.00
Positions (direct):
Nd: 0.250 0.031 0.187
Nd: 0.250 0.250 0.632
Nd: 0.250 0.469 0.187
Nd: 0.250 0.750 0.657
Nd: 0.750 0.250 0.343
Nd: 0.750 0.531 0.813
Nd: 0.750 0.750 0.368
Nd: 0.750 0.969 0.813
Te: 0.250 0.007 0.847
Te: 0.250 0.493 0.847
Te: 0.250 0.750 0.324
Te: 0.750 0.250 0.676
Te: 0.750 0.507 0.153
Te: 0.750 0.993 0.153
Ir: 0.250 0.250 0.347
Ir: 0.750 0.750 0.653

Values from the calculation:
As for the density of states at the Fermi level: 1.26 states/eV/atom. The value obtained for the uncorrected formation energy is -0.98 eV/atom. Its symmetry is No. 59. For the offset from the most stable computed form, the calculation gives 247.7 meV per atom.


5.
This record from Alexandria via LeMat-Bulk describes a relaxed structure of Pm2PrTm9. The functional is PBE.

Unit cell a=5.797 b=5.797 c=11.231 alpha=90.00 beta=90.00 gamma=90.00
Positions (direct):
Pm: 0.000 0.000 0.165
Pm: 0.000 0.000 0.835
Pr: 0.000 0.000 0.500
Tm: 0.000 0.500 0.000
Tm: 0.000 0.500 0.332
Tm: 0.000 0.500 0.668
Tm: 0.500 0.000 0.000
Tm: 0.500 0.000 0.332
Tm: 0.500 0.000 0.668
Tm: 0.500 0.500 0.166
Tm: 0.500 0.500 0.500
Tm: 0.500 0.500 0.834

Values from the calculation:
As for the density of states at the Fermi level: 1.84 states/eV/atom. Its symmetry is No. 123. For the offset from the most stable computed form, the calculation gives 65.6 meV per atom. The formation energy comes out at 0.124 eV per atom.


6.
This record from Alexandria via LeMat-Bulk describes a relaxed structure of Ba2Ga3SnAu12. The functional is PBE.

Unit cell a=8.894 b=8.894 c=8.894 alpha=59.50 beta=59.50 gamma=59.50
Positions (direct):
Ba: 0.106 0.106 0.106
Ba: 0.894 0.894 0.894
Ga: 0.000 0.500 0.500
Ga: 0.500 0.000 0.500
Ga: 0.500 0.500 0.000
Sn: 0.500 0.500 0.500
Au: 0.132 0.624 0.624
Au: 0.159 0.159 0.515
Au: 0.159 0.515 0.159
Au: 0.376 0.376 0.868
Au: 0.376 0.868 0.376
Au: 0.485 0.841 0.841
Au: 0.515 0.159 0.159
Au: 0.624 0.132 0.624
Au: 0.624 0.624 0.132